Hospitality, Friendship, Encouragement

Saturday, November 5, 2011

Family Heritage

 My mother in law is the historian of the family.  She remembers details of who married who and how many children they had and what their names were.  We are hoping to get all these stories written down, so we can remember and pass them along to the generations to follow.  

She and Elmer (Tim's Dad - Joseph Elmer Rabe, went by Elmer because his dad was Joe and so was a family dog) married in their 30's - went to France to study French and then went on a cargo ship to Senegal West Africa.  

 They were the first missionaries with NTM to go to Senegal.  They worked closely with British missionaries and when Tim's older siblings went to school they went to the British mission school.  Jean has recordings of them reciting Bible verses and singing songs and they have Scottish accents!  So sweet.

 Here is a Christmas photo from Senegal - Esther, the oldest, and Joey were born in Senegal and Dan was born on their first furlough. Dan looks about 3 or 4 here.  This photo would have been taken about 2 1/2 years after they lost their fourth child, David age 4 months, due to complications from malaria.  It was a very sad time.

 Virginia was born in December of 1963.  Here she is three months old.

 Tim was born on their next furlough in 1965.  Here is a photograph that was in the newspaper about them preparing to return to Senegal.  I laugh when I see this photo as it looks as if Joey has his finger in Dan's ear!

This is a family photo from about 3 years later.  No Joey.  About a year before he was killed by a crocodile in the river while visiting a different village.  No one had seen crocodiles in that area for a while so Dan and Joey were given permission to swim.  Joey saw it and warned Dan who ran straight up and out of the river - for some reason Joey ran along side the bank and was killed.  They found his body intact the next day. They buried Joey next to baby Davy.

This was so hard on their whole family.  Tim parents decided to stay and continue the work that they felt called to.  Years later, after they came to the states to work at the mission headquarters, Tim's dad died on his and Jean's 30th wedding anniversary.  

My mother in law has continued to serve others, both in her home and out of her home.  She is gifted in hospitality.  We are blessed to have her example of God's grace, in our lives.


Terra said...

This is an incredible post about your hubby's family and their dedication to being missionaries in Senegal. Even with the tragic death of their son by a crocodile they persevered. What a wonderful family. I love this post, friend.

Vee said...

Just a fascinating story. The things they endured; the things that they saw. All the hard work! I hope that there were many joys as well. Kyle must look like his uncle because he resembles the tallest boy in the last photo.

My Cottage Charm said...

What a wonderful post..I love famnily history! It's so sad that his dad died on their anniversary heartbreaking!
Oh..yeah the mice on my stairs did freak me out a little...I keep telling myself..they're only paper! lol
Have a blessed day!
Missy :)

Cheryl said...

A day for family stories, this is! I just read Vee's story of the love between her grandmother and the grandfather that she never met. So moving.

And then I read this...this inspiring story of a family's love and sacrifice and faithfulness to God. I cannot imagine enduring what these precious people edured. It makes me feel as if my sacrifices are small.

Thank you for sharing this. (And welcome home!)

LKK said...

Attached: records of crystals =
(1)
# Li7CrO6

A relaxed structure of Li7CrO6 (PBEsol, the Alexandria database).

E_form (uncorrected) ... -1.91 eV per atom

Structure (CIF):
```
data_Li7CrO6
_chemical_formula_sum 'Li28 Cr4 O24'
_space_group_name_H-M_alt 'C 1 c 1'
_space_group_IT_number 9
_space_group_name_Hall 'C -2yc'
_cell_length_a 9.454
_cell_length_b 5.576
_cell_length_c 10.534
_cell_angle_alpha 90.00
_cell_angle_beta 90.07
_cell_angle_gamma 90.00
loop_
_atom_site_label
_atom_site_type_symbol
_atom_site_fract_x
_atom_site_fract_y
_atom_site_fract_z
Li1 Li 0.000 0.001 0.000
Li2 Li 0.156 0.108 0.229
Li3 Li 0.170 0.196 0.856
Li4 Li 0.314 0.365 0.353
Li5 Li 0.331 0.021 0.501
Li6 Li 0.463 0.192 0.229
Li7 Li 0.464 0.195 0.829
Cr1 Cr 0.161 0.500 0.092
O1 O 0.000 0.022 0.818
O2 O 0.013 0.352 0.543
O3 O 0.145 0.488 0.256
O4 O 0.164 0.205 0.046
O5 O 0.309 0.365 0.540
O6 O 0.319 0.024 0.319
```



(2)
# Li5CrO5

A relaxed structure of Li5CrO5 (PBEsol, the Alexandria database).

E_form (uncorrected) ... -1.94 eV per atom

Structure (CIF):
```
data_Li5CrO5
_chemical_formula_sum 'Li10 Cr2 O10'
_space_group_name_H-M_alt 'C 1 2 1'
_space_group_IT_number 5
_space_group_name_Hall 'C 2y'
_cell_length_a 9.237
_cell_length_b 4.011
_cell_length_c 5.568
_cell_angle_alpha 90.00
_cell_angle_beta 108.68
_cell_angle_gamma 90.00
loop_
_atom_site_label
_atom_site_type_symbol
_atom_site_fract_x
_atom_site_fract_y
_atom_site_fract_z
Li1 Li 0.000 0.000 0.000
Li2 Li 0.190 0.482 0.360
Li3 Li 0.207 0.481 0.838
Cr1 Cr 0.000 0.909 0.500
O1 O 0.000 0.498 0.500
O2 O 0.141 0.993 0.334
O3 O 0.153 0.991 0.809
```


Computed, not measured: a relaxed CaPd6Pt6 crystal at the PBE level of DFT.

Lattice parameters (Å, degrees): 6.9824 6.9824 6.9824 135.19 98.78 97.93
With the nearest neighbours (Å) after each atom.
Sites, in units of the cell vectors:
Ca: 0.0000 0.0000 0.0000  8 Pd 3.16-3.23, 12 Pt 3.39-3.49
Pd: 0.2001 0.7001 0.5000  6 Pt 2.67-2.79, 2 Pd 2.99
Pd: 0.3478 0.0000 0.3478  3 Pd 2.77-3.08, 6 Pt 2.80-2.87
Pd: 0.3481 0.3481 0.0000  6 Pt 2.78-2.81, 3 Pd 2.79-2.99
Pd: 0.6522 0.0000 0.6522  3 Pd 2.77-3.08, 6 Pt 2.80-2.87
Pd: 0.6519 0.6519 0.0000  6 Pt 2.78-2.81, 3 Pd 2.79-2.99
Pd: 0.7999 0.2999 0.5000  6 Pt 2.67-2.79, 2 Pd 2.99
Pt: 0.0000 0.0000 0.5000  4 Pt 2.66, 6 Pd 2.67-2.80
Pt: 0.0000 0.5000 0.0000  4 Pt 2.66, 6 Pd 2.67-2.80
Pt: 0.2309 0.5000 0.7309  4 Pt 2.66, 6 Pd 2.79-2.87
Pt: 0.5000 0.0000 0.0000  4 Pt 2.66, 6 Pd 2.67-2.80
Pt: 0.5000 0.5000 0.5000  4 Pt 2.66, 6 Pd 2.67-2.80
Pt: 0.7691 0.5000 0.2691  4 Pt 2.66, 6 Pd 2.79-2.87

Results
Its space group is Immm, No. 71. For the formation energy, the calculation gives -221 meV/atom.

Wow. Kyle looks just like his Dad!

Bee said...

Thanks for sharing the Rabe family history. I love that kind of stuff! Makes me cry to think of everything they went through.

Home Keeping

  After a bit of a break, I am back on the hunt for items for my home. I need a rug for my bedroom, lamps for my bedroom, bedding for a quee...